Thursday, 30 June 2016

Take Me to Your Leader

Fruit of the Day : Take me to your Leader : An Apple and three peaches reenacting a scene from some film they have seen...Peaches a new fruit on the block..nice to paint but being 'fluffy' the high- lights are hard to find…I like the orange against the blue....yummy.

Wednesday, 29 June 2016

Lavender Wood

Painting of the Day : Lavender Wood : Again this is one of my students choice of subject and my painting along with her to help as we go along…painting lavender is intriguing it never is just one light against dark purples and blues and then in the sunlight the reverse os this now we have darks again light...then the light changes....again...

Tuesday, 28 June 2016

Pear Pedestal

Fruit of the Day : Pear pedestal : Let's hear it for the pears...put them on pedestals...three cheers for the pears...a wonderful fruit....I like them when they are too ripe and the only place to eat them safely is in the mangoes....a shower they should be on a had to be that way …I only had a 8x6 board a pedestal it had to be....

The text is interrupted by calculated crystals.
- - -
Theoretical XRD peak list
Compound: Sm2SbPt8
Radiation: copper Kα
Structure: a GGA-PBE-relaxed structure

Peak list (6 most intense, 2θ from 10° to 80°, low angle first)
- 5.328 Å, I = 273
- 2.463 Å, I = 1000
- 2.364 Å, I = 252
- 2.347 Å, I = 346
- 2.163 Å, I = 494
- 2.074 Å, I = 531

Structure:
```
data_Sm2SbPt8
_chemical_formula_sum 'Sm2 Sb1 Pt8'
_symmetry_space_group_name_H-M 'P 1'
_symmetry_Int_Tables_number 1
_cell_length_a 4.3267
_cell_length_b 9.3038
_cell_length_c 9.3038
_cell_angle_alpha 145.06
_cell_angle_beta 90.00
_cell_angle_gamma 90.00
loop_
_symmetry_equiv_pos_as_xyz
'x,y,z'
loop_
_atom_site_label
_atom_site_type_symbol
_atom_site_fract_x
_atom_site_fract_y
_atom_site_fract_z
Sm1 Sm 0.0000 0.1292 0.8708
Sm2 Sm 0.0000 0.8708 0.1292
Sb1 Sb 0.5000 0.3102 0.3102
Pt1 Pt 0.0000 0.3161 0.7248
Pt2 Pt 0.0000 0.5791 0.5791
Pt3 Pt 0.0000 0.7248 0.3161
Pt4 Pt 0.5000 0.0257 0.5142
Pt5 Pt 0.5000 0.4483 0.6837
Pt6 Pt 0.5000 0.5142 0.0257
Pt7 Pt 0.5000 0.6837 0.4483
Pt8 Pt 0.5000 0.8774 0.8774
```

=====

Theoretical XRD peak list
Compound: Sn14Sb11Pt8
Radiation: copper Kα
Structure: a GGA-PBE-relaxed structure

Peak list (6 most intense, 2θ from 10° to 80°, low angle first)
- 4.760 Å, I = 567
- 3.010 Å, I = 583
- 2.997 Å, I = 1000
- 2.123 Å, I = 518
- 2.117 Å, I = 400
- 1.938 Å, I = 438

Structure:
```
data_Sn14Sb11Pt8
_chemical_formula_sum 'Sn14 Sb11 Pt8'
_symmetry_space_group_name_H-M 'P 1'
_symmetry_Int_Tables_number 1
_cell_length_a 9.4667
_cell_length_b 9.4990
_cell_length_c 9.5409
_cell_angle_alpha 90.30
_cell_angle_beta 90.27
_cell_angle_gamma 90.20
loop_
_symmetry_equiv_pos_as_xyz
'x,y,z'
loop_
_atom_site_label
_atom_site_type_symbol
_atom_site_fract_x
_atom_site_fract_y
_atom_site_fract_z
Sn1 Sn 0.0000 0.0000 0.0000
Sn2 Sn 0.9998 0.8464 0.3428
Sn3 Sn 0.1520 0.6628 0.6837
Sn4 Sn 0.1540 0.3567 0.6834
Sn5 Sn 0.3074 0.8411 0.3437
Sn6 Sn 0.3133 0.0028 0.9984
Sn7 Sn 0.4909 0.3534 0.8416
Sn8 Sn 0.4946 0.5041 0.1922
Sn9 Sn 0.6492 0.1726 0.2102
Sn10 Sn 0.6542 0.1584 0.5178
Sn11 Sn 0.6797 0.0865 0.9067
Sn12 Sn 0.8059 0.6730 0.8409
Sn13 Sn 0.8147 0.5049 0.4981
Sn14 Sn 0.8197 0.3644 0.8344
Sb1 Sb 0.0017 0.0060 0.6906
Sb2 Sb 0.1511 0.3508 0.9951
Sb3 Sb 0.1515 0.6613 0.9983
Sb4 Sb 0.3070 0.1551 0.3405
Sb5 Sb 0.3154 0.0052 0.6916
Sb6 Sb 0.4980 0.5035 0.4986
Sb7 Sb 0.4997 0.6637 0.8446
Sb8 Sb 0.6527 0.8552 0.1851
Sb9 Sb 0.6541 0.8531 0.4971
Sb10 Sb 0.8075 0.5027 0.1897
Sb11 Sb 0.9970 0.1578 0.3382
Pt1 Pt 0.3992 0.2550 0.5905
Pt2 Pt 0.4002 0.2559 0.0935
Pt3 Pt 0.4045 0.7528 0.0942
Pt4 Pt 0.4060 0.7555 0.5944
Pt5 Pt 0.8997 0.2530 0.0886
Pt6 Pt 0.9009 0.7514 0.0953
Pt7 Pt 0.9021 0.7598 0.5919
Pt8 Pt 0.9095 0.2533 0.5890
```

=====

Theoretical XRD peak list
Compound: SnSbPt2
Radiation: copper Kα
Structure: a GGA-PBE-relaxed structure

Peak list (6 most intense, 2θ from 10° to 80°, low angle first)
- 3.623 Å, I = 507
- 3.033 Å, I = 422
- 2.201 Å, I = 1000
- 2.092 Å, I = 662
- 1.516 Å, I = 313
- 1.228 Å, I = 316

Structure:
```
data_SnSbPt2
- - -

Monday, 27 June 2016

The Pedestal

Fruit of the Day : The Pedestal : The pedestal in question is actually a candle holder but is so chunky it makes a good pedestal for fruit. I like the colour of this setting and the apple was 'pedestal' shaped so I just had to put the two together ...

Sunday, 26 June 2016

We Stand Alone

Thought of the Day : We Stand Alone : Well we've down it now…out on our feels scary but we'll get used to it ...and in the end it will work out fine...there will be problems and a lot of sorting out to get through...but in the long term we will be glad we did it....for the future kittens

Friday, 24 June 2016

Jug Ugly

Fruit of the Day : Jug Ugly : Here is that ugly jug again..I will keep painting it until I get a really good painting out of it. There must be a way...there are aspects of it that are really interesting but some that are not..I like the brown of the jug and the lilac background.

Thursday, 23 June 2016

Guava Bombing

Crystal structures, as found in the file =
'''
1.
The following is a simulated X-ray powder pattern of TaMnNbCr. It was derived from DFT lattice parameters and positions (PBE), using Cu Kα (λ = 1.5418 Å).
Intensities are scaled so that the largest is 100.

Structural model:
Lattice parameters (Å, degrees): 3.081 3.081 6.176 90.00 90.00 90.00
Positions (direct):
1 Ta 0.000 0.000 0.000
2 Mn 0.500 0.500 0.248
3 Nb 0.000 0.000 0.498
4 Cr 0.500 0.500 0.749

Peak list (10 most intense, 2θ from 10° to 90°, in order of rising 2θ)
| Position (°2θ) | I_rel | index |
| --- | --- | --- |
| 14.3 | 10 | 0 0 1 |
| 29.0 | 24 | 1 0 0 |
| 32.5 | 6 | 1 0 1 |
| 41.4 | 100 | 1 1 0 |
| 51.3 | 7 | 1 1 2 |
| 59.9 | 5 | 0 0 4 |
| 60.0 | 11 | 2 0 0 |
| 68.0 | 6 | 2 1 0 |
| 75.5 | 32 | 2 1 2 |
| 90.0 | 7 | 2 0 4 |

---

2.
The following is a simulated X-ray powder pattern of Mn5Nb2ZnCr2. It was derived from DFT lattice parameters and positions (PBE), using Cu Kα (λ = 1.5418 Å).
Intensities are scaled so that the largest is 100.

Structural model:
Lattice parameters (Å, degrees): 9.704 9.704 2.894 90.00 90.00 90.00
Positions (direct):
1 Mn 0.000 0.500 0.000
2 Mn 0.050 0.203 0.000
3 Mn 0.203 0.950 0.000
4 Mn 0.297 0.450 0.000
5 Mn 0.450 0.703 0.000
6 Mn 0.500 0.000 0.000
7 Mn 0.550 0.297 0.000
8 Mn 0.703 0.550 0.000
9 Mn 0.797 0.050 0.000
10 Mn 0.950 0.797 0.000
11 Nb 0.174 0.674 0.500
12 Nb 0.326 0.174 0.500
13 Nb 0.674 0.826 0.500
14 Nb 0.826 0.326 0.500
'''

Fruit of the Day : Guava Bombing : I completed this painting of an apple and a pear but there didn't seem to be enough 'green' so I thought about it and this guava seemed to appear uninvited… it was in a dish just out of my eye I must have added it with out thinking..but it was as if it was 'bombing' my painting of the apple and pear......strange...

• The text is interrupted by records of crystals:
=====
This entry pairs a crystal structure of HfBi2 with its computed XRD peak list. Radiation: λ = 1.5418 Å (Cu Kα). Structure: a crystal structure in OQMD, relaxed with PBE.

Structural model:
Lattice parameters (Å, degrees): 10.218 15.704 3.996 90.00 90.00 90.00
Space group Pnnm (No. 58)
One atom of each set of equivalent atoms:
Hf 0.022 0.246 0.000 x4
Hf 0.161 0.506 0.000 x4
Bi 0.014 0.393 0.500 x4
Bi 0.124 0.057 0.000 x4
Bi 0.155 0.851 0.500 x4
Bi 0.235 0.200 0.500 x4

Top 10 peaks for 10° ≤ 2θ ≤ 90°, in order of falling intensity:
d [Å]	2θ (°)	intensity	(hkl)
2.700	33.2	100.0	1 4 1
2.461	36.5	76.5	3 2 1
3.086	28.9	45.5	2 1 1
1.998	45.4	42.0	0 0 2
2.922	30.6	37.8	2 2 1
2.469	36.4	36.3	0 5 1
2.855	31.3	26.3	3 3 0
2.535	35.4	24.4	1 6 0
2.429	37.0	22.6	4 2 0
2.558	35.1	22.3	3 1 1

----------

[1]
Starting from the PBE geometry in the Materials Project, the X-ray diffraction stick pattern of MgZnCo4S8 was simulated for Cu Ka.
Kinematic intensities with the Lorentz-polarization factor, no thermal factor.

Cell and atoms:
```
data_MgZnCo4S8
_chemical_formula_sum 'Mg2 Zn2 Co8 S16'
_cell_length_a 11.7139
_cell_length_b 6.7631
_cell_length_c 7.2326
_cell_angle_alpha 90.00
_cell_angle_beta 122.52
_cell_angle_gamma 90.00
_space_group_name_H-M_alt 'C 1 m 1'
_space_group_IT_number 8
_space_group_name_Hall 'C -2y'
loop_
_atom_site_label
_atom_site_type_symbol
_atom_site_fract_x
_atom_site_fract_y
_atom_site_fract_z
_atom_site_occupancy
Mg1 Mg 0.0000 0.0000 0.0000 1
Zn1 Zn 0.1412 0.5000 0.9269 1
Co1 Co 0.1369 0.5000 0.4272 1
Co2 Co 0.1508 0.0000 0.4561 1
Co3 Co 0.3931 0.2439 0.4268 1
S1 S 0.1183 0.2612 0.6209 1
S2 S 0.1616 0.2582 0.2295 1
S3 S 0.3695 0.5000 0.6126 1
S4 S 0.3796 0.0000 0.6208 1
S5 S 0.4034 0.5000 0.2287 1
S6 S 0.4116 0.0000 0.2381 1
```

Most intense lines, 2θ from 10° to 80°, in order of falling intensity:
h k l	2theta	intensity
2 2 -2	36.43	100
0 0 1	14.52	78
0 4 0	54.25	38
4 0 1	46.57	27
2 2 2	50.61	20
2 2 -1	30.92	15
8 0 -4	67.12	14
2 0 -1	15.89	13
6 2 -1	56.48	10
2 0 0	17.98	10
4 0 -4	50.71	10
0 2 1	30.22	10

[2]
Starting from the PBE geometry in the Materials Project, the X-ray diffraction stick pattern of CrPd was simulated for Cu Ka.
Kinematic intensities with the Lorentz-polarization factor, no thermal factor.

Cell and atoms:
```
data_CrPd
_chemical_formula_sum 'Cr3 Pd3'
_cell_length_a 2.6783
_cell_length_b 2.6783
_cell_length_c 13.1473
_cell_angle_alpha 90.00
_cell_angle_beta 90.00
_cell_angle_gamma 120.00
_space_group_name_H-M_alt 'R -3 m'
_space_group_IT_number 166
_space_group_name_Hall '-R 3 2"'
loop_
_atom_site_label
_atom_site_type_symbol
_atom_site_fract_x
_atom_site_fract_y
_atom_site_fract_z
_atom_site_occupancy
Cr1 Cr 0.0000 0.0000 0.0000 1
Pd1 Pd 0.0000 0.0000 0.5000 1
```

Most intense lines, 2θ from 10° to 80°, in order of falling intensity:
h k l	2theta	intensity
0 1 2	41.25	100
1 0 4	48.01	47
0 0 3	20.26	18
0 1 8	70.19	14
1 1 0	70.29	14
1 0 1	39.45	10
0 1 5	52.62	5
1 0 7	63.75	4
1 1 3	74.02	3

[3]
=====

Wednesday, 22 June 2016

Blue and Red

Fruit of the Day : Blue and Red : This is one of those paintings that gives you trouble all day....they never go right…I started this one as a long distant bottle and candle holder ( for that is what it is..)...but didn't work changed it to a close-up of the two ..still didn't work..added an looked ok so I signed it and put it it is screaming at me to move the apple 1.5 inches to the right.....ho hum....

Tuesday, 21 June 2016

The Red Cow

The Red Cow has just come back from an exhibition it has a very blue frame which makes it very bright…just the job to brighten up someones home. Red cow were a theme of mine at one time I just couldn't paint them any other colour..cow are red….and that is that…..but when you look at cows in the fields they are brown….so what is going on?

Sunday, 19 June 2016

Follow Me

Fruit of the Day : Follow Me : This jug appeared in the studio and I don't know where it came one will admit to doing looked interesting so I included it this still was only then that I realised how out of proportion the handle really is that thick...I struggled on....I'll try it again….

Saturday, 18 June 2016

The Three Musketeers

Fruit of the Day : The Three Musketeers : Here they are the three musketeers and of course. D'Artagnan the odd one out...getting the reds right was a challenge but satisfying to get right…This is fun..painting.....why do anything else?

Friday, 17 June 2016

Three Pears

Fruit of the Day : Three Pears : All pears this time….bit of a challenge ...getting the greens right was not easy ...but really looking...did the job...or rather looking and seeing...good enough to eat.

Thursday, 16 June 2016

Apple and Pear

Pick of the Day : Apple and Pear : Thought I'd add a little contrast to this one using light against dark…and dark against light...sometimes it is difficult to get the right green to complement the red...hope it has worked here.

Wednesday, 15 June 2016


Fruit of the Day : Pomegranate : A strange looking fruit and very good to paint….but hard to find one that has all it's 'crown'...the pinks and red of this fruit are fascinating to paint...try one.

Tuesday, 14 June 2016

Pear 1a

Pear of the Day : Pear 1a : Into pears today can't remember the name of this one…and very interesting to paint....there is a shelf halfway down this pair and with an over head light makes a useful halo before descending into the lower dark shadows and not missing the reflected light from the floor..

Monday, 13 June 2016

Blue Roof Farm

Landscape of the Day : Blue Roof Farm : This is another of my students subjects that I painted along with them…just keeping one step ahead...and any problems they had I could point out on my painting instead of using theirs...better for both of us...

Sunday, 12 June 2016

Cardinal in the Copse

Tweet of the Day : Cardinal in the Copse : This is a method I use with my students... I paint the same subject along with my them... trying to keep one step ahead and if I have any points to make I can make them on my painting rather than theirs....I have a habit of getting too involved with their work and have ended up by painting too much…sometimes changing my students now I paint my own paintings alongside my students...better for both of us.

Saturday, 11 June 2016

Tomato Soup

Soup of the Day : Tomato Soup : Getting into this still life painting…it takes a while to get used to painting from life....but once you get the hang of gets easier doesn't it????

Friday, 10 June 2016


Soup of the Day : Soup : I have decided to give cats a rest for a bit…and have a go at some painting from some ways more satisfying the subject is before you all you have to do is create it in paint......what can possibly go wrong???????

Thursday, 9 June 2016

Family Time

Meow of the Day : Family Time : Life changes when you have a family…things will never be "back to normal " life was hectic before with all that midnight carousing and it will be hectic but in a completely different way....and much more fun.....there is nothing quiet like family life.

Wednesday, 8 June 2016

Worried Mum

Meow of the Day : Worried Mum : It's the kittens first day out...Mum is getting him used to the great outside...." Are you going to let go of him or hold him all day?" says Dad " I Don't want him to get how feet dirty" says Mum " You'll be glad to when he two years old..." "OK but just another five minutes …....."

Tuesday, 7 June 2016

Worried Mum

Meow of the Day : Worried Mum : It's the kittens first day out...Mum is getting him used to the great outside...." Are you going to let go of him or hold him all day?" says Dad " I Don't want him to get how feet dirty" says Mum " You'll be glad to when he two years old..." "OK but just another five minutes …....."

Sunday, 5 June 2016

Apple 3

One a Day : Apple 3 : I painted this one for a demonstration …so it had to be quick before everyone fell asleep...and quite successful I think...hard to leave it and not add a few more strokes and fiddle about with it until ruined ( it has happened before ) but I have found that it is difficult to repeat...apparently only happens now and again.....part of the trying though ..

Saturday, 4 June 2016

To Be Safe

Meow of the Day : To be Safe : You never know when danger threatens it could around the next corner...a stranger lurking...waiting to pounce....better take this kitten to a safe place where it won't be hurt....lets run....quick keep running....they are after's a good place to!! This isn't my kitten !!

Friday, 3 June 2016


One a day : Satsuma 1 : This must be therapy…getting away from my obsession with apples...a way of calming down....but again I feel it happening...getting into the "landscape" of the satsuma...fascinating if walking over the is the light falling on it that is the fascination .

Wednesday, 1 June 2016


Meow of the Day : Playtime : Ah...nothing is so much fun as playing with your grandchildren...
( grand kittens ?) ...romping and chasing and generally having fun and trying to get them tired so they will sleep soundly tonight......some is you who will be put to bed well before them....ho hum...and remembering the joy of handing them back to their parents....

My Blue Chair

Meow of the Day : My Blue Chair : This is my chair ! my blue chair...don't even think of sitting in it....First thing I did when I chose this house was to then chose the best chair and this is it !. I sometimes let my human keep it warm for me while I'm out hunting..but they know as soon as I return it is mine....I'll say it again a little louder this time as I don't think my human has heard what I said…first get out of MY CHAIR!!